Contents.
Material: CrMo3As
Method: DFT, PBEsol
State: optimized geometry

Cell and atoms, written as CIF:
```
data_CrMo3As
_chemical_formula_sum 'Cr1 Mo3 As1'
_symmetry_space_group_name_H-M 'P m -3 m'
_symmetry_Int_Tables_number 221
_symmetry_space_group_name_Hall '-P 4 2 3'
_cell_length_a 4.425
_cell_length_b 4.425
_cell_length_c 4.425
_cell_angle_alpha 90.00
_cell_angle_beta 90.00
_cell_angle_gamma 90.00
loop_
_atom_site_label
_atom_site_fract_x
_atom_site_fract_y
_atom_site_fract_z
_atom_site_occupancy
Cr1 0.000 0.000 0.000 1
Mo1 0.000 0.000 0.500 1
As1 0.500 0.500 0.500 1
```

Computed properties:
Spin magnetization = 0.00 μB/atom
Energy = -8.8353 eV per atom


Entry 1:
Density functional theory data (PBE-GGA) for a relaxed LiAcPrNi crystal.

Lattice parameters (Å, degrees): 5.261 5.261 5.261 60.00 60.00 60.00
Positions (direct):
1 Ni 0.250 0.250 0.250
2 Pr 0.500 0.500 0.500
3 Li 0.750 0.750 0.750
4 Ac 0.000 0.000 0.000

energy relative to the elements	0.0095	eV per atom
space-group type	F-43m (216)

Entry 2:
Density functional theory data (PBE-GGA) for a relaxed LiAcNiPt crystal.

Lattice parameters (Å, degrees): 4.739 4.739 4.739 60.00 60.00 60.00
Positions (direct):
1 Li 0.000 0.000 0.000
2 Pt 0.750 0.750 0.750
3 Ac 0.250 0.250 0.250
4 Ni 0.500 0.500 0.500

energy relative to the elements	-0.3484	eV per atom
space-group type	F-43m (216)

Entry 3:
Density functional theory data (PBE-GGA) for a relaxed LiAcNiRh crystal.

Lattice parameters (Å, degrees): 4.789 4.789 4.789 60.00 60.00 60.00
Positions (direct):
1 Li 0.000 0.000 0.000
2 Rh 0.750 0.750 0.750
3 Ni 0.250 0.250 0.250
4 Ac 0.500 0.500 0.500

energy relative to the elements	-0.1069	eV per atom
space-group type	F-43m (216)

Entry 4:
Density functional theory data (PBE-GGA) for a relaxed LiAc2Ni3Sb4 crystal.

Lattice parameters (Å, degrees): 4.624 4.624 10.318 90.00 90.00 90.00
Positions (direct):
1 Ni 0.000 0.500 0.116
2 Ni 0.500 0.000 0.884
3 Ni 0.000 0.000 0.500
4 Li 0.500 0.500 0.500
5 Sb 0.000 0.500 0.368
6 Sb 0.500 0.000 0.632
7 Sb 0.000 0.000 0.000
8 Sb 0.500 0.500 0.000
9 Ac 0.500 0.000 0.255
10 Ac 0.000 0.500 0.745

E_form (uncorrected)	-0.711	eV/atom
space-group type	P-4m2 (115)

Entry 5:
Density functional theory data (PBE-GGA) for a relaxed LiAc2Ni4Sb3 crystal.

Lattice parameters (Å, degrees): 4.493 4.493 10.238 90.00 90.00 90.00
Positions (direct):
1 Ni 0.500 0.000 0.624
2 Ni 0.000 0.000 0.000
3 Ni 0.500 0.500 0.000
4 Ni 0.000 0.500 0.376
5 Sb 0.000 0.000 0.500
6 Sb 0.500 0.000 0.874
7 Sb 0.000 0.500 0.126
8 Li 0.500 0.500 0.500
9 Ac 0.500 0.000 0.243
10 Ac 0.000 0.500 0.757

E_form (uncorrected)	-0.614	eV/atom
space-group type	P-4m2 (115)

Entry 6:
Density functional theory data (PBE-GGA) for a relaxed LiAcNiSb2 crystal.

Lattice parameters (Å, degrees): 4.518 4.518 6.476 110.42 110.42 90.00
Positions (direct):
1 Li 0.750 0.250 0.500
2 Ac 0.000 0.000 0.000
Wanted.
Print all of the material further above without altering anything, please.
Here it is.
Material: CrMo3As
Method: DFT, PBEsol
State: optimized geometry

Cell and atoms, written as CIF:
```
data_CrMo3As
_chemical_formula_sum 'Cr1 Mo3 As1'
_symmetry_space_group_name_H-M 'P m -3 m'
_symmetry_Int_Tables_number 221
_symmetry_space_group_name_Hall '-P 4 2 3'
_cell_length_a 4.425
_cell_length_b 4.425
_cell_length_c 4.425
_cell_angle_alpha 90.00
_cell_angle_beta 90.00
_cell_angle_gamma 90.00
loop_
_atom_site_label
_atom_site_fract_x
_atom_site_fract_y
_atom_site_fract_z
_atom_site_occupancy
Cr1 0.000 0.000 0.000 1
Mo1 0.000 0.000 0.500 1
As1 0.500 0.500 0.500 1
```

Computed properties:
Spin magnetization = 0.00 μB/atom
Energy = -8.8353 eV per atom


Entry 1:
Density functional theory data (PBE-GGA) for a relaxed LiAcPrNi crystal.

Lattice parameters (Å, degrees): 5.261 5.261 5.261 60.00 60.00 60.00
Positions (direct):
1 Ni 0.250 0.250 0.250
2 Pr 0.500 0.500 0.500
3 Li 0.750 0.750 0.750
4 Ac 0.000 0.000 0.000

energy relative to the elements	0.0095	eV per atom
space-group type	F-43m (216)

Entry 2:
Density functional theory data (PBE-GGA) for a relaxed LiAcNiPt crystal.

Lattice parameters (Å, degrees): 4.739 4.739 4.739 60.00 60.00 60.00
Positions (direct):
1 Li 0.000 0.000 0.000
2 Pt 0.750 0.750 0.750
3 Ac 0.250 0.250 0.250
4 Ni 0.500 0.500 0.500

energy relative to the elements	-0.3484	eV per atom
space-group type	F-43m (216)

Entry 3:
Density functional theory data (PBE-GGA) for a relaxed LiAcNiRh crystal.

Lattice parameters (Å, degrees): 4.789 4.789 4.789 60.00 60.00 60.00
Positions (direct):
1 Li 0.000 0.000 0.000
2 Rh 0.750 0.750 0.750
3 Ni 0.250 0.250 0.250
4 Ac 0.500 0.500 0.500

energy relative to the elements	-0.1069	eV per atom
space-group type	F-43m (216)

Entry 4:
Density functional theory data (PBE-GGA) for a relaxed LiAc2Ni3Sb4 crystal.

Lattice parameters (Å, degrees): 4.624 4.624 10.318 90.00 90.00 90.00
Positions (direct):
1 Ni 0.000 0.500 0.116
2 Ni 0.500 0.000 0.884
3 Ni 0.000 0.000 0.500
4 Li 0.500 0.500 0.500
5 Sb 0.000 0.500 0.368
6 Sb 0.500 0.000 0.632
7 Sb 0.000 0.000 0.000
8 Sb 0.500 0.500 0.000
9 Ac 0.500 0.000 0.255
10 Ac 0.000 0.500 0.745

E_form (uncorrected)	-0.711	eV/atom
space-group type	P-4m2 (115)

Entry 5:
Density functional theory data (PBE-GGA) for a relaxed LiAc2Ni4Sb3 crystal.

Lattice parameters (Å, degrees): 4.493 4.493 10.238 90.00 90.00 90.00
Positions (direct):
1 Ni 0.500 0.000 0.624
2 Ni 0.000 0.000 0.000
3 Ni 0.500 0.500 0.000
4 Ni 0.000 0.500 0.376
5 Sb 0.000 0.000 0.500
6 Sb 0.500 0.000 0.874
7 Sb 0.000 0.500 0.126
8 Li 0.500 0.500 0.500
9 Ac 0.500 0.000 0.243
10 Ac 0.000 0.500 0.757

E_form (uncorrected)	-0.614	eV/atom
space-group type	P-4m2 (115)

Entry 6:
Density functional theory data (PBE-GGA) for a relaxed LiAcNiSb2 crystal.

Lattice parameters (Å, degrees): 4.518 4.518 6.476 110.42 110.42 90.00
Positions (direct):
1 Li 0.750 0.250 0.500
2 Ac 0.000 0.000 0.000